Has anyone here ever been in a fight?


Be still, O wand'rer!
Apr 26, 2002
Just curious, but have you ever been in a punch up? Whether you kicked ass or got your ass kicked? Ever been mugged or something like that? Or ever witnessed something pretty horrific?

And I don't mean playground brawls when you were 6. :loco:
Closest was a wrestling with a bro once and it turned serious, had to keep him in a headlock for about 30 minutes so he wouldn't get up and kick my ass. I was about 12. Other than that just minor skirmishes and my everyday ass kicking of course. :loco:

- - -
Record 1
Here is a relaxed TlCr2Fe crystal from Alexandria. Energies are from GGA-PBE.

a = 3.114 Å, b = 4.442 Å, c = 8.506 Å
α = 90.00°, β = 90.00°, γ = 90.00°
Fractional coordinates of all 8 atoms:
1 Tl 0.000 0.000 0.000
2 Tl 0.500 0.500 0.500
3 Cr 0.000 0.000 0.481
4 Cr 0.000 0.500 0.775
5 Cr 0.500 0.000 0.275
6 Cr 0.500 0.500 0.981
7 Fe 0.000 0.500 0.231
8 Fe 0.500 0.000 0.731

Values from the calculation:
Symmetry: Imm2, No. 44
Calculated formation energy in eV/atom: 0.62
E above lowest polymorph in eV per atom: 0.143
DOS(E_F) in states/eV/f.u.: 3.91

***

Record 2
Here is a relaxed TlCrFe crystal from Alexandria. Energies are from GGA-PBE.

a = 4.317 Å, b = 4.317 Å, c = 2.876 Å
α = 90.00°, β = 90.00°, γ = 120.00°
Fractional coordinates of all 3 atoms:
1 Tl 0.000 0.000 0.000
2 Cr 0.333 0.667 0.443
3 Fe 0.667 0.333 0.600

Values from the calculation:
Symmetry: P3m1, No. 156
Calculated formation energy in eV/atom: 0.81
- - -

Watched a dude get ejected from his car in a wreck, that freaked me out for a bit. The car blindsided him at about 10mph and he was going probably 60mph, his truck flipped all the way across the intersection and he was laying on the curb afterwards.

I dissected dead humans once in high school, that was more :kickass: than :ill: surprisingly. Field trip to LA College of Chiropractics.
sure, three times. i won the 2 (in the other they split us, this is how it is said right?). The 2 i won were with classmates. The other was with a friend
"How much you know about yourself if you never have been in a fight?"
Thankfully, I've never been in a fight (post-school). I've seen a few though. One in particular was fucking disgusting. Three drunk lads kicking the shit of some 40 year old, smashing bottles on his head, beating him with sticks etc. It was happening on a Saturday afternoon on a busy train station. I went to tell a station guard and he said the police were on their way. Once the police sirens were in range, the guys ran off. I don't know what sparked it - they came out of nowhere and just started beating him - and had the cops not arrived, they would have probably killed him, or thrown him in front of a train.

Records of crystals, kept here for reference:
=====
Mn5Ge3O12 (GGA+U, relaxed); crystal system = cubic; density of states at the Fermi level = 5.31 states/eV/f.u.; symmetry = No. 230; E_tot = -563.60 eV/cell
1.0
10.924 0.000 0.000
-3.641 10.300 0.000
-3.641 -5.150 8.920
O Ge Mn
48 12 20
direct
0.869 0.366 0.046 O
0.369 0.823 0.003 O
0.546 0.369 0.366 O
0.179 0.134 0.503 O
0.131 0.497 0.677 O
0.177 0.546 0.179 O
0.677 0.997 0.131 O
0.134 0.954 0.631 O
0.866 0.046 0.369 O
0.546 0.177 0.679 O
0.997 0.677 0.631 O
0.323 0.003 0.869 O
0.366 0.869 0.546 O
0.869 0.503 0.323 O
0.323 0.321 0.954 O
0.821 0.954 0.823 O
0.321 0.323 0.454 O
0.997 0.321 0.866 O
0.177 0.631 0.497 O
0.503 0.869 0.823 O
0.631 0.454 0.134 O
0.866 0.821 0.997 O
0.679 0.003 0.634 O
0.454 0.631 0.634 O
0.497 0.366 0.821 O
0.131 0.634 0.954 O
0.634 0.503 0.679 O
0.046 0.179 0.677 O
0.634 0.131 0.454 O
0.179 0.046 0.177 O
0.003 0.323 0.369 O
0.821 0.866 0.497 O
0.823 0.454 0.821 O
0.631 0.177 0.997 O
0.823 0.369 0.503 O
0.321 0.997 0.366 O
0.497 0.131 0.177 O
0.134 0.179 0.003 O
0.954 0.821 0.323 O
0.679 0.677 0.546 O
0.677 0.679 0.046 O
0.366 0.497 0.321 O
0.046 0.866 0.869 O
0.954 0.134 0.131 O
0.454 0.823 0.321 O
0.003 0.679 0.134 O
0.369 0.546 0.866 O
0.503 0.634 0.179 O
0.625 0.375 0.750 Ge
0.750 0.375 0.125 Ge
0.375 0.625 0.250 Ge
0.625 0.250 0.375 Ge
0.750 0.875 0.625 Ge
0.250 0.125 0.375 Ge
0.250 0.625 0.875 Ge
0.875 0.125 0.250 Ge
0.125 0.875 0.750 Ge
0.875 0.750 0.125 Ge
0.125 0.250 0.875 Ge
0.375 0.750 0.625 Ge
0.125 0.375 0.250 Mn
0.875 0.250 0.625 Mn
0.000 0.000 0.000 Mn
0.500 0.500 0.500 Mn
0.000 0.500 0.000 Mn
0.500 0.000 0.000 Mn
0.750 0.625 0.375 Mn
0.250 0.875 0.125 Mn
0.500 0.500 0.000 Mn
0.500 0.000 0.500 Mn
0.375 0.250 0.125 Mn
0.625 0.875 0.250 Mn
0.000 0.000 0.500 Mn
0.750 0.125 0.875 Mn
0.875 0.625 0.750 Mn
0.250 0.375 0.625 Mn
0.125 0.750 0.375 Mn
0.375 0.125 0.750 Mn
0.000 0.500 0.500 Mn
0.625 0.750 0.875 Mn

----------

Compound: CrPtN
Source: Alexandria via LeMat-Bulk
Functional: PBE
Structure: optimized geometry

Values from the calculation:
The value obtained for the volume is 73.31 Å³ per cell. The total energy comes out at -8.10 eV/atom. As for the density of states at the Fermi level: 1.82 states/eV/f.u.

a b c (Å): 3.168 4.133 5.600
angles (deg): 90.00 90.00 90.00
Site moments in Bohr magnetons follow the coordinates.
Fractional positions:
Pt: 0.500 0.500 0.955  -0.08
Pt: 0.000 0.000 0.045  -0.08
Cr: 0.500 0.000 0.633  2.16
Cr: 0.000 0.500 0.367  2.16
N: 0.000 0.000 0.443  -0.17
N: 0.500 0.500 0.557  -0.17

----------

1.
# LiTl2HgAs (PBE-GGA, optimized geometry)
# Density of states at the Fermi level ... 2.3 states/eV/f.u.
# Energy of formation from the pure elements ... 0.006 eV per atom
# Relative energy among the computed polymorphs ... 0.0 meV per atom
# Total magnetic moment ... 0.000 μB/atom
# SG ... P4/mmm (123)
data_LiTl2HgAs
_space_group_name_H-M_alt 'P 1'
_space_group_IT_number 1
_space_group_name_Hall 'P 1'
_cell_length_a 5.5930
_cell_length_b 5.5930
_cell_length_c 4.8638
=====

I'm not sure what became of the victim but I'm sure he's been scarred for life. I don't know what happened to the drunk idiots either, but I'd like to think they're banged up in jail.

All violence I've seen has been alcohol related as well. That's why alcohol is banned from football stadiums now too. Hooligan mob fights are the worst.
At a Morbid Angel / Dissection / At the Gates show I watched two dudes fight all the way across the venue (not that big) being kicked by a bunch of skinheads in the crowd the whole time. When it was broken up the one dude had chunks of his face missing by what looked like fingernail attacks. Yeech.
JayKeeley said:
Just curious, but have you ever been in a punch up? Whether you kicked ass or got your ass kicked? Ever been mugged or something like that? Or ever witnessed something pretty horrific?

And I don't mean playground brawls when you were 6. :loco:

LOL. I have witnessed and have been involved in all of the above. I have some pretty fucked up stories but will hold off until later. I gotta go.
You can read about my latest fight here.

Misplaced records of crystals.
[1]
5
Lattice="-4.328 2.414 -3.142 2.961 -1.123 -4.941 -2.528 -3.018 -4.315" Properties=species:S:1:pos:R:3 comment="La2ZnAu2 PBE relaxed" ef_ev_per_atom=-0.46 e_tot_ev_per_atom=-3.99 pbc="T T T"
Zn 0.000 0.000 0.000
Au -1.273 -0.525 -4.129
Au -2.623 -1.202 -8.269
La -3.770 0.021 -5.749
La -0.126 -1.747 -6.648

=====

[2]
5
Lattice="-2.216 -3.860 -1.415 -1.187 -0.966 4.497 -3.942 2.452 -0.514" Properties=species:S:1:pos:R:3 comment="TaReOsW2 PBE relaxed" ef_ev_per_atom=2.05 relative_energy_ev_per_atom=0.073 e_tot_ev_per_atom=-10.23 pbc="T T T"
Re -3.673 -1.187 1.284
Os 0.000 0.000 0.000
W -1.971 1.226 -0.257
W -1.108 -1.930 -0.707
Ta -0.594 -0.483 2.249

=====

[3]
4
Lattice="-6.013 0.132 -1.501 3.917 -4.805 0.066 4.532 -0.302 4.219" Properties=species:S:1:pos:R:3 comment="CaInPd2 PBE relaxed" ef_ev_per_atom=0.05 e_tot_ev_per_atom=-3.73 pbc="T T T"
Ca 0.000 0.000 0.000
In 4.224 -2.554 2.142
Pd 2.167 -1.310 1.099
Pd 6.282 -3.797 3.186

=====

[4]
5
Lattice="-1.059 3.489 2.964 -4.271 -1.849 0.650 1.649 -2.548 3.588" Properties=species:S:1:pos:R:3 comment="Ga3PtS PBE relaxed" e_form_raw_ev_per_atom=0.45 relative_energy_ev_per_atom=0.690 e_tot_ev_per_atom=-3.40 pbc="T T T"
S 0.000 0.000 0.000
Ga -2.135 -0.924 0.325
Ga 0.824 -1.274 1.794
Ga -0.529 1.744 1.482
Pt -1.841 -0.454 3.601

=====

[5]
3
Lattice="3.545 0.000 0.000 -1.773 3.070 0.000 0.000 0.000 3.747" Properties=species:S:1:pos:R:3 comment="NbNiN PBE relaxed" e_form_raw_ev_per_atom=-0.42 e_tot_ev_per_atom=-8.48 pbc="T T T"
Nb 1.773 1.023 1.874
Ni 0.000 2.047 0.000
N 0.000 2.047 1.874

=====

[6]
10
Lattice="-3.643 -1.857 0.002 2.862 -5.618 -6.538 3.845 -7.538 3.319" Properties=species:S:1:pos:R:3 comment="Pr3AgPd PBE relaxed" ef_ev_per_atom=-0.24 relative_energy_ev_per_atom=0.096 e_tot_ev_per_atom=-4.72 pbc="T T T"
Pr 1.108 -9.948 0.178
Pr -0.550 -6.695 2.240
Pr -1.158 -5.496 -3.892
Pr -0.883 -1.539 0.057
Pr 0.741 -9.222 -3.547
Pr 1.243 -5.709 -0.961
Ag 3.533 -10.201 -2.061
Ag -1.641 -4.554 -0.446
Pd 1.613 -6.430 -3.721
Pd 2.100 -7.393 1.208

=====

[7]
5
Lattice="-3.071 0.355 1.369 -1.553 -4.820 -2.234 3.248 -1.413 7.648" Properties=species:S:1:pos:R:3 comment="SmDy2Sc2 PBE relaxed" ef_ev_per_atom=0.16 relative_energy_ev_per_atom=0.000 e_tot_ev_per_atom=-5.16 pbc="T T T"
Sm -0.513 -0.085 0.541
Dy 1.337 -2.946 5.430
Dy -2.455 -2.890 1.087
Sc -0.014 -4.469 2.797
Sc -1.108 -1.363 3.712

=====

[8]
12
Lattice="6.201 0.000 0.000 -3.101 5.370 0.000 0.000 0.000 7.295" Properties=species:S:1:pos:R:3 comment="K3CeGa2O6 PBE relaxed" e_form_raw_ev_per_atom=-1.97 e_tot_ev_per_atom=-5.72 pbc="T T T"
K 0.000 3.580 5.304
K 3.101 1.790 1.991
K 0.000 0.000 0.000
Ce 0.000 0.000 3.648
Ga 3.101 1.790 5.293
Ga 0.000 3.580 2.002
O 1.548 4.474 2.187
O 0.000 1.793 2.187
O -1.548 4.474 2.187
O 3.101 3.577 5.108
O 1.553 0.897 5.108
O 4.648 0.897 5.108

=====

Q: Number 3 is which compound?
A: CaInPd2

~~~~~

Compound: KCdSN2
Source: the Alexandria database
Functional: GGA-PBE
Structure: optimized geometry

I usually just flee when things are getting dangerous. I have fought few times though. The most memorable must be the time when some skinny druggie tried to mug me in Spain. It was one of the few times I've actually beaten up someone.
abcdefg - are you male or female? Either way, that was brilliant. Self defence is totally necessary.

What's funnier is how that thread is turning into an Opeth bashing session.
nothing really, other than a few pushing matches that were quickly broken up. Funny thing is, I've never started one. It's always people wanting to start shit with me for some reason. Maybe because I rule.

Being 225 lbs and 6'5" probably has a lot to do with never being in a real serious fight. I'll put mofos in the hospital. haha

Opeth17 - While at college, my bros would tell me to play my CDs while we were hazing pledges. Three of my bros tried out for the Navy SEALS, two are currently SEALS. One of the three told me I scared the crap out of him because I look normal, yet listen to metal. Whatever. SO yeah, I understand your situation. Funny thing though, I don't advertise the music I listen to.
same here ... 6'7" has stopped many a people from picking on me. I started some fights becuase of what someone said ... usually some racist shit make my blood boil ... but it was quickly broken up

Ironically just last night a friend of friend was stabbed in the arm and neck by a mugger here in Brooklyn, NY ... he is OK ... the knife missed his main artery in his neck luckily.
Fuck! So how safe is the area surrounding NorthSix? And can I park somewhere nearby?
that area is pretty safe .. really bohemian and always busy into the early hours.
you should have no problem parking next to the club. most people that hang in Billburg are either locals or poor schmoes with no cars :)

this stabbbing happend in a real shady area of Brooklyn ... basically in a place where this does not really surprise me
Why did he go there then? Shit, poor dude.

I got lost in downtown Cincinnati recently (thank god I'm outta there now) and I swear, I might as well have been driving somewhere in Cape Town or Nairobi. Of course I was in a convertible Mustang rental as well, so I might as well have been chucking money out the window attracting all these psychos.

It still shocks me, after living here since 98, that there are really vile parts of this country that look like that. For the richest country in the world, it just shouldn't be like that.
I've never been in a fight (although, being a girl, I knew the first thing you did in case you were about to be in one was take your earrings out so the other girl couldn't rip them out :p).

However, one night when I was studying in Madrid my two guy friends and I had been out drinking and were walking around in the wee hours of the morning. Two drunk Spanish guys were passing us in a pretty deserted area and started saying crap to me (as drunk Spanish guys often will)... you know, just the general "hey, baby, how about you come over here and suck my dick" or something similar. The two guys I was with (one was 6'4" and very athletic, the other was just a crazy bastard) proceeded to turn around and beat the living shit out of them. I told them to stop, but they didn't and I just left. Apparently the cops showed up after not too long and my two friends just legged it and got away. It was really awful. At the time I didn't see it as them being protective of me at all, I just saw it as a drunken attack, and I did not want to be "responsible" for it. Now I think of it as a "guy" thing that I won't ever really understand.
J. said:
One of the three told me I scared the crap out of him because I look normal, yet listen to metal..

It's the same with me. I have an Opeth hoodie that I wear, but other then that, you wouldn't even know I listened to metal unless by chance you happened to hear it coming through my headphones. I think as soon as people learn you listen to metal they just assume your a blood thirsty, insane, satanist. Of course, this can work to your advantage in certain situations. :tickled: